**Data:**
=====
Simulated powder diffraction line list
Compound: K2RbHoV2O8
Radiation: Cu Kα
Structure: a crystal structure in Alexandria, relaxed with GGA+U

Crystal structure
```
data_K2RbHoV2O8
_cell_length_a 6.0126
_cell_length_b 6.0126
_cell_length_c 7.7826
_cell_angle_alpha 90.00
_cell_angle_beta 90.00
_cell_angle_gamma 120.00
_space_group_name_H-M_alt 'P -3 m 1'
_space_group_IT_number 164
_space_group_name_Hall '-P 3 2"'
loop_
_atom_site_label
_atom_site_type_symbol
_atom_site_fract_x
_atom_site_fract_y
_atom_site_fract_z
K1 K 0.3333 0.6667 0.1964
Rb1 Rb 0.0000 0.0000 0.5000
Ho1 Ho 0.0000 0.0000 0.0000
V1 V 0.3333 0.6667 0.7501
O1 O 0.1743 0.3486 0.8289
O2 O 0.3333 0.6667 0.5337
```

Peak list (12 most intense, 2θ = 15–90°, low angle first)
d_spacing, 2θ/deg, intensity, index
5.207, 17.03, 39, 1 0 0
4.328, 20.52, 25, 1 0 1
3.117, 28.64, 100, 0 1 2
3.006, 29.72, 88, 1 1 0
2.164, 41.74, 48, 2 0 2
1.756, 52.07, 36, 1 2 2
1.736, 52.74, 16, 3 0 0
1.633, 56.32, 23, 1 1 4
1.503, 61.71, 16, 2 2 0
1.354, 69.41, 16, 3 1 2
1.295, 73.05, 10, 3 0 4
1.142, 84.92, 9, 2 3 2

~~~~~

1.
The following is a simulated powder diffraction line list of Ba3SrMgNb2O9. It was derived from a DFT-relaxed cell (PBE, the Materials Project), using copper Kα.
Intensities are scaled so that the largest is 100.

Structural model:
```
Ba3SrMgNb2O9
1.0
6.174 0.000 0.000
-3.066 5.519 0.000
-0.028 -0.429 7.720
Ba Sr Mg Nb O
3 1 1 2 9
Cartesian
0.000 0.000 0.000
-0.037 2.683 5.256
3.041 0.387 3.079
3.046 1.047 6.772
3.060 3.042 1.874
-0.028 2.892 1.807
3.064 4.739 4.287
-1.609 3.710 3.073
-0.019 0.984 3.007
1.372 0.133 5.369
-0.050 4.502 0.679
1.595 2.095 0.855
1.557 3.719 3.066
4.729 0.160 5.363
3.050 3.197 5.549
4.524 2.073 0.876
```

Top 10 peaks for 10 to 90 degrees two-theta, low angle first:
d [Å], I/Imax
3.185, 35
3.168, 63
3.152, 28
3.085, 100
2.978, 16
2.966, 15
2.182, 30
2.180, 29
1.802, 22
1.380, 13

---

2.
The following is a simulated powder diffraction line list of Ba3SrMgNb2O9. It was derived from a DFT-relaxed cell (PBE, the Materials Project), using copper Kα.
Intensities are scaled so that the largest is 100.

Structural model:
```
Ba3SrMgNb2O9
1.0
5.217 -3.132 0.000
5.217 3.132 0.000
-0.804 0.000 8.053
Ba Sr Mg Nb O
3 1 1 2 9
Cartesian
0.000 0.000 0.000
2.594 0.000 6.098
7.036 0.000 1.955
-0.402 0.000 4.026
4.815 0.000 4.026
3.344 0.000 1.310
6.287 0.000 6.743
2.609 1.566 0.000
1.664 0.000 2.246
4.266 1.326 2.565
5.364 1.326 5.488
2.609 -1.566 0.000
5.217 0.000 0.000
4.266 -1.326 2.565
5.364 -1.326 5.488
7.966 0.000 5.807
```

Top 10 peaks for 10 to 90 degrees two-theta, low angle first:
d [Å], I/Imax
8.053, 23
3.347, 18
3.302, 46
3.132, 50
3.032, 100
2.920, 20
2.451, 17
2.290, 17
2.181, 47
1.514, 16

---

3.
The following is a simulated powder diffraction line list of Ba3SrMgNb2O9. It was derived from a DFT-relaxed cell (PBE, the Materials Project), using copper Kα.
Intensities are scaled so that the largest is 100.

Structural model:
```
Ba3SrMgNb2O9
1.0
5.989 0.000 0.000
-2.995 5.187 0.000
0.000 0.000 9.107
Ba Sr Mg Nb O
3 1 1 2 9
Cartesian
0.000 0.000 0.000
0.000 3.458 4.475
2.995 1.729 1.684
2.995 1.729 7.365
2.995 1.729 4.514
0.000 0.000 3.504
0.000 3.458 0.938
-1.449 2.621 8.890
0.000 1.713 2.240
-1.511 4.330 2.240
1.410 0.814 4.764
1.449 2.621 8.890
0.000 5.131 8.890
1.511 4.330 2.240
4.579 0.814 4.764
2.995 3.558 4.764
```

Top 10 peaks for 10 to 90 degrees two-theta, low angle first:
d [Å], I/Imax
3.422, 57
2.995, 100
2.620, 46
2.254, 36
2.132, 16
1.972, 30
1.801, 17
1.729, 20
1.647, 24
1.497, 19

---

Number 2 is which compound? Ba3SrMgNb2O9

---

Number 3 is which compound? Ba3SrMgNb2O9

~~~~~

[1]
For Cu2TcPt3, a crystal structure in Alexandria, relaxed with GGA-PBE gives the computed powder diffractogram in this record (Cu Kα (weighted mean of Kα1 and Kα2)).

Peak list (10 most intense, 10 to 90 degrees two-theta, by angle)
23.9 deg, I = 16
32.3 deg, I = 16
40.6 deg, I = 100
46.4 deg, I = 34
49.0 deg, I = 14
67.6 deg, I = 11
69.7 deg, I = 20
=====

**Wanted:**
Now echo only the lines above with the word "Rb" in them.

**Worked solution:**
Rb1 Rb 0.0000 0.0000 0.5000